(Activity)
Please set down all of the entries below exactly.

(File)
____________
Below is a geometry-optimized Ag2BrF2 structure, with properties calculated at the PBE level.

a = 6.381 Å, b = 6.381 Å, c = 7.065 Å
α = 116.85°, β = 116.85°, γ = 90.00°
Sites, in units of the cell vectors:
Ag  0.446  0.731  0.892
Ag  0.411  0.196  0.392
Ag  0.981  0.196  0.392
Ag  0.446  0.161  0.892
Br  0.998  0.998  0.997
Br  0.248  0.748  0.497
F  0.645  0.919  0.290
F  0.621  0.395  0.790
F  0.169  0.395  0.790
F  0.645  0.371  0.290

Summary:
Space-group type: I4_1md, No. 109
VASP energy: -2.936 eV/atom



Below is a geometry-optimized PuTaO5 structure, with properties calculated at the PBE level.

a = 3.872 Å, b = 5.519 Å, c = 5.519 Å
α = 72.94°, β = 69.47°, γ = 69.47°
Sites, in units of the cell vectors:
Pu  0.500  0.500  0.500
Ta  0.000  0.000  0.000
____________

(Result)
Below is a geometry-optimized Ag2BrF2 structure, with properties calculated at the PBE level.

a = 6.381 Å, b = 6.381 Å, c = 7.065 Å
α = 116.85°, β = 116.85°, γ = 90.00°
Sites, in units of the cell vectors:
Ag  0.446  0.731  0.892
Ag  0.411  0.196  0.392
Ag  0.981  0.196  0.392
Ag  0.446  0.161  0.892
Br  0.998  0.998  0.997
Br  0.248  0.748  0.497
F  0.645  0.919  0.290
F  0.621  0.395  0.790
F  0.169  0.395  0.790
F  0.645  0.371  0.290

Summary:
Space-group type: I4_1md, No. 109
VASP energy: -2.936 eV/atom



Below is a geometry-optimized PuTaO5 structure, with properties calculated at the PBE level.

a = 3.872 Å, b = 5.519 Å, c = 5.519 Å
α = 72.94°, β = 69.47°, γ = 69.47°
Sites, in units of the cell vectors:
Pu  0.500  0.500  0.500
Ta  0.000  0.000  0.000